BWCA Entry Point, Route, and Trip Report Blog
February 19 2025
Entry Point 75 - Little Isabella River
-- begin --
[1]
Li7Mn2Co3O12 | GGA+U | relaxed

abc: 5.884 5.923 6.533
angles: 75.93 77.04 89.78
Space group P-1 (No. 2)
Symmetry-distinct sites (fractional):
Li 0.000 0.000 0.000 x1
Li 0.000 0.500 0.000 x1
Li 0.163 0.164 0.326 x2
Li 0.326 0.834 0.675 x2
Li 0.500 0.500 0.000 x1
Mn 0.332 0.329 0.668 x2
Co 0.163 0.677 0.320 x2
Co 0.500 0.000 0.000 x1
O 0.099 0.108 0.658 x2
O 0.100 0.565 0.656 x2
O 0.254 0.748 0.019 x2
O 0.266 0.246 0.980 x2
O 0.424 0.431 0.350 x2
O 0.428 0.901 0.329 x2

Calculated values
Magnetic moment (μB per formula unit): 18.00
Raw total energy (eV per atom): -5.882


[2]
Li7Mn2Co3O12 | GGA+U | relaxed

abc: 5.238 2.865 14.420
angles: 90.00 92.23 90.00
Space group P2/m (No. 10)
Symmetry-distinct sites (fractional):
Li 0.000 0.000 0.000 x1
Li 0.000 0.000 0.500 x1
Li 0.160 0.500 0.340 x2
Li 0.344 0.000 0.656 x2
Li 0.500 0.500 0.000 x1
Mn 0.169 0.500 0.830 x2
Co 0.329 0.000 0.168 x2
Co 0.500 0.500 0.500 x1
O 0.022 0.000 0.752 x2
O 0.186 0.500 0.092 x2
O 0.221 0.500 0.570 x2
O 0.313 0.000 0.910 x2
O 0.348 0.000 0.425 x2
O 0.473 0.500 0.242 x2

Calculated values
Magnetic moment (μB per formula unit): 18.00
Raw total energy (eV per atom): -5.792


[3]
LiMn2Co2O8 | GGA+U | relaxed

abc: 5.714 5.749 5.779
angles: 89.65 60.75 60.60
Space group P-1 (No. 2)
Symmetry-distinct sites (fractional):
Li 0.000 0.000 0.000 x1
Mn 0.000 0.500 0.500 x1
Mn 0.500 0.000 0.500 x1
Co 0.000 0.500 0.000 x1
Co 0.500 0.500 0.500 x1
O 0.036 0.247 0.725 x2
O 0.039 0.703 0.734 x2
O 0.474 0.267 0.290 x2
O 0.480 0.265 0.724 x2

Calculated values
Magnetic moment (μB per formula unit): 7.00
Raw total energy (eV per atom): -6.352


[4]
Li4MnCo2O7 | GGA+U | relaxed

abc: 34.239 2.854 5.262
angles: 90.00 95.99 90.00
Space group Cm (No. 8)
Symmetry-distinct sites (fractional):
Li 0.000 0.000 0.000 x2
Li 0.001 0.500 0.507 x2
Li 0.066 0.000 0.382 x2
Li 0.140 0.500 0.209 x2
Li 0.218 0.000 0.072 x2
Li 0.288 0.500 0.924 x2
Li 0.358 0.000 0.779 x2
Li 0.430 0.500 0.630 x2
Mn 0.142 0.000 0.722 x2
Mn 0.216 0.500 0.575 x2
Co 0.065 0.500 0.892 x2
Co 0.288 0.000 0.423 x2
Co 0.358 0.500 0.293 x2
Co 0.433 0.000 0.108 x2
O 0.038 0.000 0.689 x2
O 0.039 0.500 0.168 x2
O 0.108 0.000 0.987 x2
O 0.113 0.500 0.544 x2
O 0.174 0.500 0.893 x2
O 0.179 0.000 0.443 x2
O 0.248 0.000 0.737 x2
O 0.252 0.500 0.256 x2
O 0.320 0.500 0.608 x2
O 0.325 0.000 0.138 x2
O 0.389 0.000 0.450 x2
O 0.397 0.500 0.995 x2
O 0.459 0.500 0.300 x2
O 0.461 0.000 0.836 x2

Calculated values
Magnetic moment (μB per formula unit): 6.15
Raw total energy (eV per atom): -5.782


[5]
Li4Mn3CoO8 | GGA+U | relaxed

abc: 2.877 3.048 39.154
angles: 87.94 89.39 62.68
Space group P1 (No. 1)
Symmetry-distinct sites (fractional):
Li 0.000 0.000 0.000 x1
Li 0.113 0.752 0.625 x1
Li 0.230 0.508 0.251 x1
Li 0.343 0.261 0.876 x1
Li 0.499 0.002 0.500 x1
Li 0.614 0.752 0.125 x1
Li 0.729 0.509 0.751 x1
Li 0.843 0.262 0.376 x1
Mn 0.033 0.891 0.814 x1
Mn 0.310 0.372 0.063 x1
Mn 0.422 0.129 0.688 x1
Mn 0.535 0.889 0.313 x1
Mn 0.808 0.373 0.563 x1
-- stop --
Number of Permits per Day: 1
Elevation: 1276 feet
Data records, kept here for reference.
<<<
[1]
Density functional theory data (PBE) for a relaxed Mn2Si5N8 crystal.

Cell and atoms, written as POSCAR:
```
Mn2Si5N8
1.0
9.810 0.000 0.000
0.000 13.375 0.000
0.000 0.000 10.800
Mn Si N
16 40 64
direct
0.087 0.059 0.139 Mn
0.087 0.441 0.639 Mn
0.136 0.005 0.414 Mn
0.136 0.495 0.914 Mn
0.364 0.505 0.414 Mn
0.364 0.995 0.914 Mn
0.413 0.559 0.139 Mn
0.413 0.941 0.639 Mn
0.587 0.059 0.361 Mn
0.587 0.441 0.861 Mn
0.636 0.005 0.086 Mn
0.636 0.495 0.586 Mn
0.864 0.505 0.086 Mn
0.864 0.995 0.586 Mn
0.913 0.559 0.361 Mn
0.913 0.941 0.861 Mn
0.006 0.714 0.018 Si
0.006 0.786 0.518 Si
0.018 0.165 0.753 Si
0.018 0.335 0.253 Si
0.143 0.536 0.177 Si
0.143 0.964 0.677 Si
0.237 0.662 0.604 Si
0.237 0.838 0.104 Si
0.239 0.718 0.339 Si
0.239 0.782 0.839 Si
0.261 0.218 0.339 Si
0.261 0.282 0.839 Si
0.263 0.162 0.604 Si
0.263 0.338 0.104 Si
0.357 0.036 0.177 Si
0.357 0.464 0.677 Si
0.482 0.665 0.753 Si
0.482 0.835 0.253 Si
0.494 0.214 0.018 Si
0.494 0.286 0.518 Si
0.506 0.714 0.482 Si
0.506 0.786 0.982 Si
0.518 0.165 0.747 Si
0.518 0.335 0.247 Si
0.643 0.536 0.323 Si
0.643 0.964 0.823 Si
0.737 0.662 0.896 Si
0.737 0.838 0.396 Si
0.739 0.718 0.161 Si
0.739 0.782 0.661 Si
0.761 0.218 0.161 Si
0.761 0.282 0.661 Si
0.763 0.162 0.896 Si
0.763 0.338 0.396 Si
0.857 0.036 0.323 Si
0.857 0.464 0.823 Si
0.982 0.665 0.747 Si
0.982 0.835 0.247 Si
0.994 0.214 0.482 Si
0.994 0.286 0.982 Si
0.027 0.037 0.758 N
0.027 0.463 0.258 N
0.050 0.596 0.062 N
0.050 0.904 0.562 N
0.095 0.210 0.617 N
0.095 0.290 0.117 N
0.101 0.228 0.873 N
0.101 0.272 0.373 N
0.147 0.711 0.479 N
0.147 0.789 0.979 N
0.154 0.700 0.740 N
0.154 0.800 0.240 N
0.242 0.100 0.273 N
0.242 0.400 0.773 N
0.245 0.535 0.584 N
0.245 0.965 0.084 N
0.255 0.035 0.584 N
0.255 0.465 0.084 N
0.258 0.600 0.273 N
0.258 0.900 0.773 N
0.346 0.200 0.740 N
0.346 0.300 0.240 N
0.353 0.211 0.479 N
0.353 0.289 0.979 N
0.399 0.728 0.873 N
0.399 0.772 0.373 N
0.405 0.710 0.617 N
0.405 0.790 0.117 N
0.450 0.096 0.062 N
0.450 0.404 0.562 N
0.473 0.537 0.758 N
0.473 0.963 0.258 N
0.527 0.037 0.742 N
0.527 0.463 0.242 N
0.550 0.596 0.438 N
0.550 0.904 0.938 N
0.595 0.210 0.883 N
0.595 0.290 0.383 N
0.601 0.228 0.627 N
0.601 0.272 0.127 N
0.647 0.711 0.021 N
0.647 0.789 0.521 N
0.654 0.700 0.760 N
0.654 0.800 0.260 N
0.742 0.100 0.227 N
0.742 0.400 0.727 N
0.745 0.535 0.916 N
0.745 0.965 0.416 N
0.755 0.035 0.916 N
0.755 0.465 0.416 N
0.758 0.600 0.227 N
0.758 0.900 0.727 N
0.846 0.200 0.760 N
0.846 0.300 0.260 N
0.853 0.211 0.021 N
0.853 0.289 0.521 N
0.899 0.728 0.627 N
0.899 0.772 0.127 N
0.905 0.710 0.883 N
0.905 0.790 0.383 N
0.950 0.096 0.438 N
0.950 0.404 0.938 N
0.973 0.537 0.742 N
0.973 0.963 0.242 N
```

Values from the calculation:
Energy relative to the elements (eV per atom): -0.948


[2]
Density functional theory data (PBE) for a relaxed MnSi7N10 crystal.

Cell and atoms, written as POSCAR:
```
MnSi7N10
1.0
6.730 0.000 0.000
0.000 6.895 0.000
-2.460 0.000 9.398
Mn Si N
2 14 20
direct
0.000 0.066 0.000 Mn
0.000 0.934 0.500 Mn
>>>
Latitude: 47.7760
Longitude: -91.4885
Little Isabella River - 75
Entry Date:
July 04, 2014
Entry Point:
Little Isabella River
/*
Entry 1:
Na3Cr2P3O12: relaxed, PBE+U.

The structure in extended XYZ format:
```
40
Lattice="4.4017 7.6022 0.0000 -4.4017 7.6022 0.0000 0.0000 5.0804 7.2979" Properties=species:S:1:pos:R:3 pbc="T T T"
O -3.1709 10.1242 5.3620
O 1.1453 12.7939 4.1767
O 1.5564 15.0336 5.3647
O -1.5564 12.4934 1.7158
O 0.6294 6.4758 1.7217
O -3.1709 12.7009 5.5848
O 0.4916 16.2286 3.0855
O 0.6294 11.2688 1.9272
O 3.1709 10.1607 1.9358
O 1.5926 9.8325 4.2561
O 1.1453 10.0311 6.7701
O 0.4916 1.5160 0.5634
O -1.5926 7.2924 0.6071
O -1.5926 10.4523 3.0418
O -0.6294 13.8090 5.5762
O -1.1453 10.2537 0.5277
O -0.6294 9.0160 5.3706
O -1.1453 7.4910 3.1212
O 1.5564 7.7914 5.5821
O 3.1709 7.5840 1.7131
O 1.5926 12.9925 6.6907
O -0.4916 18.7688 6.7345
O -1.5564 5.2513 1.9332
O -0.4916 4.0562 4.2123
P -0.9019 11.0645 1.8124
P -4.0241 11.4125 5.4734
P 0.9019 13.6047 5.4613
P 0.9019 9.2203 5.4855
P -0.9019 6.6802 1.8365
P 4.0241 8.8723 1.8245
Na 0.6018 13.6890 1.8290
Na -0.6018 16.2292 5.4780
Na 2.2008 6.3413 3.6489
Na 0.6018 4.0556 1.8199
Na -2.2008 3.8011 0.0000
Na -0.6018 6.5958 5.4688
Cr -2.1799 13.9273 6.8760
Cr 2.1799 11.3871 3.2270
Cr 2.1799 6.3575 0.4219
Cr -2.1799 8.8977 4.0708
```

Total magnetic moment (Bohr magnetons per cell): 12.00
Symmetry: C2/c (15)
ρ (g/cm³): 3.11
Energy relative to the elements (meV per atom): -2611
E (eV/cell): -277.75

Entry 2:
Na7Cr4P6O24: relaxed, PBE+U.

The structure in extended XYZ format:
```
82
Lattice="8.8365 0.0000 0.0000 0.0000 9.0293 0.0000 0.0000 0.0361 12.8820" Properties=species:S:1:pos:R:3 pbc="T T T"
O 7.2717 2.3061 3.2488
O 1.1479 8.0867 5.6047
O 2.7359 6.3343 7.0730
O 5.6686 8.7416 8.5789
O 5.6686 0.3237 4.3031
O 3.1747 4.2598 8.5492
O 5.9321 2.1042 9.3741
O 1.7394 7.1223 0.6329
O 1.3200 0.2156 2.0515
O 0.5964 5.3398 5.4233
O 7.2717 6.7593 9.6331
O 0.5311 2.9250 1.9048
O 3.1747 4.8055 4.3328
O 7.6407 5.4453 7.2713
O 1.7394 1.9431 12.2490
O 7.6332 4.3849 10.5216
O 3.8128 1.3693 8.1946
O 3.8126 0.9255 0.9087
O 3.1206 5.3893 11.9404
O 2.7359 2.7311 5.8090
O 5.5467 0.8413 11.8917
O 7.0565 2.6297 0.8733
O 6.0692 1.6867 6.9626
O 1.3200 8.8498 10.8305
O 6.0692 7.3787 5.9193
O 5.9321 6.9612 3.5078
O 4.8990 5.3791 0.9448
O 7.0565 6.4357 12.0087
O 0.5311 6.1404 10.9772
O 1.6336 6.9413 3.1004
O 3.1206 3.6761 0.9415
O 8.2688 0.7704 5.3757
O 5.5467 8.2241 0.9903
O 2.9207 6.6207 9.5454
O 8.3613 1.5839 11.0407
O 1.1479 0.9787 7.2773
O 4.9746 3.0620 4.6306
O 7.6332 4.6804 2.3603
O 7.6407 3.6201 5.6107
O 0.5964 3.7255 7.4586
O 3.8128 7.6961 4.6874
O 4.8990 3.6863 11.9372
O 8.3613 7.4815 1.8413
O 8.2688 8.2949 7.5063
O 4.9746 6.0034 8.2514
O 2.9207 2.4447 3.3366
O 1.6336 2.1241 9.7816
O 3.8126 8.1399 11.9733
Na 1.6191 4.7625 2.3957
Na 3.9094 6.9051 2.2839
Na 8.2200 2.2672 8.7611
Na 2.3277 8.5827 8.5981
Na 7.2368 0.3068 2.1557
Na 6.1440 4.2170 8.6384
Na 8.2200 6.7982 4.1209
Na 3.9094 2.1603 10.5981
Na 2.3277 0.4827 4.2838
Na 5.0596 2.0821 2.3897
Na 1.6191 4.3029 10.4863
Na 5.0596 6.9832 10.4923
Na 6.1440 4.8484 4.2435
Na 7.2368 8.7586 10.7263
*/
Number of Days:
Group Size:
My alarm goes off at 2:30 and I decide to sleep a little more. If I remember correctly there is a beaver dam about a couple hundred yards down the Little Isabella River. I don't expect it to be a problem but better in full light than the early twilight that I usually start my trips in. Soon enough Claire and I are on our way. The short cut saves about thirty or forty miles I would guess but I'm not sure if it saves all that much time. It's a forest road but is better described as a logging road. A four-wheeled drive with high ground clearance is the only vehicle I would recommend drive down it. I have a compact car. It's twilight now as I stop to tighten one of straps that has come loose. It's five miles of this rocking and steering and branches scraping my car and I'm out on to the Tomahawk road. Thank goodness I drive a crappy car. Though mechanically sound, it aint' much to look at. The road leading into the Snake/Little Isabella isn't any better than that logging road and when I arrive at the entry point and get out of my car I see one of the rear straps is gone. Oddly, the other three are still nice and tight. I haul my gear down to the river in three trips and go back up to grab the canoe. It's about fifteen rods with a twenty foot elevation change I would guess. When I get back to the canoe I realize I brought the canoe yolk down there too. Oh well, it's not that far. I'm on the water about sun up and navigate the beaver dam and then I am quickly on the first portage. It's flat, short and muddy. I do the same thing with the yolk. Another beaver dam two and I'm on the second portage. It has some elevation but seems shorter than the thirty three rods that the map says. I've come to think of rod distances in terms of football fields which should put it at almost two. Eighteen rods equals one football field. Immediately after this portage I run in to a problem. There is a large tree across the river that has been cut away on one end so us paddlers can get by, however, there is another smaller tree that now lies across the opening. It too has been cut away but I'm guessing very high water has repositioned it so the cut end is now on shore. I can't ride over the top and there is no decent spot to pull in and bushwhack around. I go back to the portage and see how hard it would be to bushwhack my way from there-no chance. Now it's back in the canoe only without the dog. I'll just have to find a way and I decide it's better to leave her on shore if I'm getting out in an awkward place. Before I do I take another run at running over the top. It works, just barely. I have to do the kid in a cardboard box move a few inches at a time but I make it. Don't know how I'm going to get back up but that's not for a couple days. I pick up Claire down stream after she bushwhacks her way through the brush. I don't know much about dogs, having never had one, but this much I learned they want to come with. It's how I've trained both dogs I have taken canoeing with me. Leave without them for short distance and keep offering them chances to get in. This is Claire's third trip with me and has been a wonderful companion. More beaver dams but nothing of note. I'm debating coming out through the Snake River because of that log jam problem back up stream but that would mean paddling a river I don't like much, many more rods of portaging and a two mile hike back to the car. Soon I'm on the last portage of the Little Is. It's short flat and sure footed. From here it's clear sailing to the big Is and then an upstream paddle to the portage of my destination, Quadga lake. On the way I snap a picture of a lone pine that survived the fire. As I get out on the Quadga portage I can't help to think that this is a wonderful fishing spot. Just below a hard rapids on a big river with a water swirl one could maybe throw a slip bobber into at varying depths and have it stay there. I bet there are fish there and I regret not having tried. The only reason why I don't is because I want to get one of the only two campsites on Quadga before anyone else gets there. Turns out I don't see another soul the entire trip. Anyway, the Quadga portage has about a forty foot elevation on both ends, is fifty one rods, and has a few trees to step over and around. At this point it's a tough one by my standards-nothing to avoid though. When I get all my gear over to the other end I suck down one of my two 24oz mountain dews (soon to be water bottles) and look across the lake. My head net is on as the gnats (black flies?) are here in force. The campsite I want is easily spotted across the lake. It's that spot right in that direction that isn't burned. A quick trip across the lake in nearly wind free conditions and I'm at the campsite. The best place to land is about fifty yards to the west of the site. And I thought I was done with the portaging for the day! I set up camp and make some lunch-mountain house freeze dried something-unrememberable. I still haven't cooled down after the days workout and hot lunch so it's time for a swim. With the exception of my water shoes I'm in my birthday suit. The area right in front of the fire pit has a smooth slow transition to deeper water. The water itself is cool and clean. Perfect for cooling down. Claire looks on from shore. For whatever reason she just is not a swimmer which also means she makes a good canoe dog-won't jump out of the boat for any reason. Now I try my luck at fishing and doggy comes for a visit and I start taking selfies of us. Meanwhile my bobber gets about ten feet from the rock ledge I'm sitting on. Claire loses interest and I reel in only to find to my shock I have a fish on. From the swirl in the water it's good size and likely a northern. It pulls my drag out a couple times and bites off my line. I was hoping for a stray walleye and expecting bass. When I hook up again I put on my one leader and sure enough the fish is still around and I hook into it again, land it in my mini net(two tries), photo it and release it. Soon I hook into another northern although smaller than the first it puts up a very good fight and does something I've never seen before. It flies completely out of the water horizontal to the water like some sort of malfunctioning torpedo. As far as the fish is concerned it works as she manages to break my line. The rest of the trip is average to small size bass. An hour or two before sunset it begins to rain and Claire parks herself in her pop-up kennel and I retire to my hammock.
It rains all night and stops around daybreak. Rolling thunder is the menu for the day and hashbrowns for brunch. Claire gets her fill and retires for the rest of the trip to her kennel. I'm worried that she's sick or maybe bugged out. Even when she ventures out she is very lethargic and soon is back in her pen. Eventually the rain comes in late afternoon and it is wicked. The kayak paddle I used as the center pole on the tarp won't stay in place in the high winds and water starts to pool and I have to make the run from my hammock to my tarp area to fix it and save poor doggy from an eventual dousing. I'll have to go to a lean to setup when expecting severe weather next time. After the storm it cools dramatically and the wind changes direction coming from the east now. It looks most ominous in that direction but after a time I can tell that while the surface wind is from the east the storm itself is heading north. The north shore must be getting pummeled. The night comes quick as I make a mental note to bring earplugs during bug season. The sound of skeeters near my ear at night is annoying me.
I sleep well and morning comes quickly as Claire wakes me by rubbing her head up against me. She is still moving slowly but seems to want me to get going so I break camp and get on the water. I can't believe how warm and humid it is as I start portaging. Before grabbing the last of the gear from the Quadga side I load up on water. Luckily, as I head down stream, a light breeze is against me and I leisurely paddle my way to the Little Is. By now I have decided to take that river out hoping that all the rain has raised the water level enough for me to get over that log jam problem. What wind there is comes at me. I've noticed on rivers the wind seems to follow the river so it's either with you or against you. I do well going upstream and the log jam is no problem and manage all the beaver dams by doing the Hawaii five-0 except for one. I have to get out on that one and get water in my boots for the first time. Oh well, I'm near the exit point and am exhausted from the constant work coming upstream. Claire is happier now but still doesn't show her usual spunk and stays strictly on the portage trails. On the last portage she surprises me by jumping into the back of the boat before I'm ready. She has never been that eager to get in but has been getting better at getting in on command. I am spent and finally we are out and taking the short cut back to the cabin hoping to see my missing strap along the way. What I do see is a notice that they are doing wolf trapping in the area. At the cabin I unload my car and lay out my hammock and camp tarps to dry out, take a nice bath and take a nap. When I get up Claire makes it clear she wants to go for a walk.